Work order.
Could you search the calculation results further below for the word "OCC" and give back each line that has it?
Material.
No. 1
14
Properties=species:S:1:pos:R:3 method="wB97M-V/def2-TZVPD" energy_ha=-361.83319 gap_ev=9.8 e_homo_ev=-9.072 multiplicity=1 smiles="O=C1CNC[C@@H]1O"
O -0.223 0.102 2.343
C -0.072 -0.120 1.166
C 1.041 -0.927 0.501
N 1.025 -0.549 -0.910
C -0.380 -0.218 -1.201
C -0.937 0.473 0.039
O -0.632 1.857 -0.052
H 2.011 -0.755 0.976
H 0.802 -1.995 0.609
H 1.576 0.300 -1.019
H -0.932 -1.145 -1.398
H -0.449 0.425 -2.082
H -2.009 0.304 0.216
H -0.821 2.249 0.813

No. 2
19
Properties=species:S:1:pos:R:3 method="wB97M-V/def2-TZVPD" energy_ha=-704.45734 gap_ev=10.4 e_homo_ev=-13.745 charge=+1 multiplicity=1 smiles="CS[N@+]1(C)C=NCC1"
C 0.539 0.411 2.522
S 1.187 1.116 1.059
N 0.429 0.042 -0.162
C 0.448 -1.458 0.035
C 1.011 0.276 -1.775
N 0.048 0.362 -2.493
C -1.261 0.580 -1.837
C -0.941 0.390 -0.284
H 1.034 0.968 3.399
H 0.896 -0.592 2.723
H -0.473 0.726 2.460
H 0.290 -1.746 1.057
H -0.292 -1.803 -0.573
H 1.404 -1.836 -0.205
H 1.994 0.160 -1.998
H -1.955 -0.142 -2.386
H -1.705 1.543 -1.927
H -1.088 1.375 0.302
H -1.564 -0.373 0.085

No. 3
93
Properties=species:S:1:pos:R:3 method="wB97M-V/def2-TZVPD" energy_ha=-2696.57506 gap_ev=7.2 e_homo_ev=-8.179 multiplicity=1 smiles="[H]/N=C/CC1=C(P(N)O)C(=O)c2c(C[C@H](C)OCc3ccccc3)c(N)c(P(C)C)c(OCC)c2C1=O.CO.CO.CO.CO"
H -3.770 -3.255 3.472
N -3.839 -2.925 2.514
C -3.274 -1.799 2.415
C -3.236 -1.069 1.120
C -1.967 -0.349 0.793
C -1.682 0.155 -0.419
P -2.688 0.101 -1.962
N -4.118 0.734 -1.234
O -3.096 -1.480 -2.065
C -0.401 0.873 -0.629
O 0.145 0.803 -1.677
C 0.088 1.669 0.514
C 0.865 2.864 0.409
C 1.462 3.386 -0.877
C 2.928 2.902 -1.004
C 3.961 3.995 -0.755
O 3.170 2.291 -2.257
C 4.111 1.228 -2.141
C 3.413 -0.064 -1.864
C 3.152 -0.493 -0.547
C 2.404 -1.671 -0.313
C 1.932 -2.434 -1.413
C 2.230 -2.031 -2.734
C 2.965 -0.854 -2.949
C 1.131 3.573 1.607
N 1.892 4.785 1.595
C 0.692 3.115 2.883
P 1.055 4.113 4.380
C 0.570 5.831 3.941
C -0.328 3.769 5.540
C 0.064 1.853 2.962
O -0.274 1.342 4.181
C 0.783 0.635 4.867
C 0.219 -0.524 5.646
C -0.259 1.153 1.786
C -0.946 -0.138 1.840
O -0.689 -0.985 2.641
H -2.808 -1.324 3.263
H -4.029 -0.325 1.173
H -3.515 -1.737 0.315
H -4.577 1.331 -1.910
H -3.880 1.319 -0.441
H -4.049 -1.620 -1.965
H 0.902 3.047 -1.732
H 1.445 4.470 -0.892
H 3.054 2.150 -0.229
H 3.551 4.985 -0.911
H 4.828 3.850 -1.385
H 4.304 3.955 0.275
H 4.659 1.170 -3.074
H 4.836 1.445 -1.358
H 3.500 0.084 0.296
H 2.187 -1.988 0.694
H 1.375 -3.341 -1.250
H 1.873 -2.636 -3.535
H 3.184 -0.556 -3.962
H 2.884 4.598 1.559
H 1.640 5.370 0.813
H -0.048 5.836 3.052
H -0.022 6.242 4.747
H 1.445 6.427 3.740
H -0.549 4.701 6.044
H -1.223 3.432 5.039
H -0.033 3.047 6.287
H 1.529 0.318 4.147
H 1.266 1.328 5.549
H 0.935 -1.336 5.651
H -0.686 -0.898 5.187
H 0.001 -0.248 6.669
C 0.102 -0.311 -6.328
O 0.734 -0.953 -5.230
H 0.023 -1.047 -7.127
H -0.898 0.035 -6.072
H 0.689 0.538 -6.693
H 0.824 -0.327 -4.497
C 2.503 -5.243 -5.958
O 2.180 -3.995 -5.360
H 2.607 -5.967 -5.154
H 1.715 -5.584 -6.635
H 3.446 -5.196 -6.511
H 2.084 -3.341 -6.058
C -6.051 -4.625 0.167
O -5.406 -3.411 -0.190
H -6.795 -4.832 -0.598
H -5.335 -5.450 0.203
H -6.551 -4.538 1.135
H -4.735 -3.282 0.482
C -2.124 -4.383 -0.602
O -2.649 -5.167 0.472
H -1.692 -5.070 -1.326
H -2.924 -3.815 -1.078
H -1.347 -3.687 -0.267
H -3.045 -4.549 1.099

No. 4
44
Properties=species:S:1:pos:R:3 method="wB97M-V/def2-TZVPD" energy_ha=-2467.80612 gap_ev="9.0 / 5.4" e_homo_ev="-15.991 / -15.963" charge=+2 multiplicity=2 s2=0.768
Cu -0.450 0.668 0.584
C -2.305 -1.947 -1.693
C -1.163 -0.963 -1.557
C 0.130 -1.409 -1.718
C 0.432 -2.896 -1.679
C 1.189 -0.489 -1.819
C 2.518 -0.899 -2.375
C 0.956 0.888 -1.566
C 2.085 1.850 -1.439
C -0.376 1.337 -1.381
C -0.700 2.806 -1.590
C -1.478 0.371 -1.179
C -2.961 0.767 -1.194
H -1.894 -2.872 -2.114
H -3.152 -1.556 -2.304
H -2.684 -2.276 -0.673
H 1.498 -3.031 -1.380
H 0.149 -3.407 -2.599
H -0.183 -3.328 -0.885
H 3.264 -0.117 -2.244
H 2.453 -1.068 -3.454
H 2.925 -1.864 -1.946
H 1.717 2.554 -0.676
H 2.379 2.400 -2.353
H 2.984 1.321 -1.024
Reply.
Properties=species:S:1:pos:R:3 method="wB97M-V/def2-TZVPD" energy_ha=-2696.57506 gap_ev=7.2 e_homo_ev=-8.179 multiplicity=1 smiles="[H]/N=C/CC1=C(P(N)O)C(=O)c2c(C[C@H](C)OCc3ccccc3)c(N)c(P(C)C)c(OCC)c2C1=O.CO.CO.CO.CO"